The timing couldn’t be much worse for Anastacia Badillo (’20) and Isaiah Berry (’19).
Then again, it’s never a bad time to be named a Fulbright Scholar. That’s the situation Anastacia and Isaiah find themselves in after being named Fulbright winners in the midst of a pandemic.

Anastacia, a 2020 ACU graduate who is living at home with family in Coppell, Texas, was supposed to graduate May 9 and leave for Spain in September. Now, even though she officially is a graduate, the ceremony isn’t scheduled to take place until August and the trip to Spain has been pushed to January 2021.
Isaiah, a 2019 graduate, was just beginning his Fulbright experience in Nepal when the pandemic forced the students to return home to Nashville, Tennessee. Isaiah flew to Nepal Feb. 20 and left to fly back home March 17.
The original plan was to spend six weeks in Kathmandu learning about the language and culture, as well as teaching strategies, before being assigned to teach English for eight months in a group of villages called Helambu. The month the students actually spent in Kathmandu was long enough to make it seem like home.
“It felt like a really long time,” Isaiah said. “It felt like we had moved there.”
For Anastacia, the experience is just the opposite. Instead of preparing for a trip to Spain in September, she is living at home and working as a nanny for family friends.
“It definitely wasn’t how I wanted to end my senior year,” Anastacia said.
Isaiah and Anastacia may have the most unbelievable Fulbright experiences of any ACU honorees but they are far from alone in getting the award. A year ago, ACU was included in the list of U.S. colleges and universities that produced the most 2018-2019 Fulbright U.S. students. ACU was one of only three Texas institutions to earn that distinction. Anastacia and Isaiah, as well as other recent ACU Fulbright Scholars, give much of the credit for their acceptance to Dr. Jason Morris (’96), dean of ACU’s Honors College and director of the Office of Major Scholarships.
For now, Anastacia plans to travel to Spain in January to begin her Fulbright tenure. Isaiah, who earned a degree in biology from ACU, isn’t sure yet whether he will go back to Nepal or enroll in graduate school as the next step toward a career as a researcher.
Isaiah Berry
Isaiah barely had time to get used to a strange sight in Nepal before the coronavirus pandemic ended his Fulbright experience. The strange sight? An occasional monkey on a neighbor’s porch or playing on a power line.
“Seeing monkeys was something special to me,” he said.
Frolicking monkeys weren’t the only new sights Isaiah encountered. He was surprised by the extent of civil rights movements in the country. He and his friends attended the grand opening of a library dedicated to the feminist movement.
“It was really not what I was expecting to see in Nepal,” he said.
Nepal wasn’t Isaiah’s first choice when he applied for the Fulbright. Uzbekistan was. He wanted to experience a culture and language far different from his own, and the Central Asia country seemed the perfect landing place.
“I wanted to go someplace that was off the beaten path,” he said.
Both Uzbekistan and Nepal are far off the beaten path between Isaiah’s hometown of Nashville and Abilene. It took 30 hours to fly to Nepal. Less than a month later, Isaiah was on a plane back to Nashville, where he is living with his family and working at Lowe’s, FedEx and at a friend’s home renovation business.
Originally, Isaiah was to spend February through December in Nepal, teaching English and living with a host family in a village outside the capital of Kathmandu. Isaiah had English teaching experience with refugees and international college students in Abilene, while also studying Spanish, French and German, in addition to biology.
In Nepal, Isaiah and four other students from the U.S. shared an apartment and did a lot of sightseeing in the month they were in Kathmandu. Their daily routine included culture classes 9 a.m. to noon and language classes 1 to 4 p.m. On weekends, the five U.S. students visited cultural centers, temples and museums, while squeezing in some card games and hiking.
_Misplaced records of molecules_
- - -
C5H10O2 as an isolated structure in a non-equilibrium geometry. Source: the OMol25 dataset; level of theory: ωB97M-V/def2-TZVPD.

Charge   0
Spin multiplicity   1
HOMO level   -9.58 eV
Relative energy (zero: lowest compared OMol25 entry of this formula, charge and spin)   283.9 kJ/mol
Kohn-Sham gap   10.46 eV

Cartesian coordinates (Å):
H  -0.177  1.397  1.393
C  -1.711  0.931  -0.079
O  2.405  0.199  0.865
C  1.596  -0.605  0.004
C  -0.266  0.978  0.381
H  1.970  -1.635  0.031
H  -1.432  -2.114  -0.340
H  -0.369  -1.427  -1.561
C  0.087  -0.558  0.415
H  0.421  1.862  -0.433
H  2.951  0.868  0.429
C  -0.901  -1.186  -0.632
H  1.644  -0.246  -1.041
O  -1.886  -0.201  -0.911
H  -0.185  -1.043  1.399
H  -1.863  1.824  -0.669
H  -2.416  0.924  0.769

----------

[1]
Formula: CHHoO2
Source: the OMol25 dataset
Level of theory: the ωB97M-V functional and the def2-TZVPD basis

Last column: Löwdin charge in e.
Element x y z (Å)
O1 1.916 -0.137 -0.915  -0.363
C1 -0.959 -0.956 2.194  0.218
O2 -0.847 -0.404 1.207  -0.076
Ho1 -0.023 0.613 -0.903  2.183
H1 2.478 -0.443 -0.205  0.039

- strongest force on any atom (Eh/bohr) = 0.1012
- multiplicity = 5
- calculated total energy (eV) = -30925.422
- total charge = +2
- <S²> = 6.005

[2]
Formula: CHI2PS
Source: the OMol25 dataset
Level of theory: the ωB97M-V functional and the def2-TZVPD basis

Last column: Löwdin charge in e.
Element x y z (Å)
C1 -1.623 0.032 -0.255  -1.268
P1 2.536 1.142 1.009  0.005
S1 3.310 -0.565 0.656  -0.112
I1 0.177 0.626 -0.968  0.751
I2 -2.025 -1.999 0.184  0.685
H1 -2.375 0.763 -0.626  -0.062

- ΔE to the lowest compared entry with this formula, charge and spin (kcal per mole) = 57.74
- strongest force on any atom (Eh/bohr) = 0.0264

[3]
Formula: CHI4P
Source: the OMol25 dataset
Level of theory: the ωB97M-V functional and the def2-TZVPD basis

Last column: Löwdin charge in e.
Element x y z (Å)
C1 0.172 0.106 0.165  -1.750
P1 -0.111 -1.001 1.614  0.408
I1 1.185 1.859 1.019  0.692
I2 1.145 -0.532 -1.585  0.689
I3 -1.795 2.143 -1.765  -0.141
I4 0.042 -3.211 0.751  0.427
H1 -0.637 0.635 -0.200  -0.325

- ΔE to the lowest compared entry with this formula, charge and spin (kcal per mole) = 66.38
- strongest force on any atom (Eh/bohr) = 0.0803

[4]
Formula: CHLi2O3
Source: the OMol25 dataset
Level of theory: the ωB97M-V functional and the def2-TZVPD basis

Last column: Löwdin charge in e.
Element x y z (Å)
O1 1.134 -1.015 2.384  -0.640
H1 0.730 -1.045 3.250  -0.168
Li1 0.652 -0.396 0.799  0.564
O2 -1.143 0.722 -0.629  -0.386
C1 -0.226 -0.063 -1.131  -0.684
O3 0.184 0.312 -2.301  -0.364
Li2 -1.330 1.486 -2.372  0.679

- ΔE to the lowest compared entry with this formula, charge and spin (kcal per mole) = 0.00
- strongest force on any atom (Eh/bohr) = 0.0273
- total charge = -1

[5]
Formula: CHN2O4S
Source: the OMol25 dataset
Level of theory: the ωB97M-V functional and the def2-TZVPD basis

Last column: Löwdin charge in e.
Element x y z (Å)
C1 -2.104 0.636 0.106  -0.343
- - -
Isaiah isn’t sure about the future. He will continue to get his Fulbright stipend until October. The Fulbright program has agreed to waive some requirements if the selected students want to return to Nepal in the future. For now, Isaiah is working his three jobs and living with his parents. He is torn between wanting to earn a master’s degree in biology and continuing the Fulbright experience. The only thing he is sure of is that the month he spent in Nepal won’t be his last visit to that country.
“I’m sure I’ll get to go back sooner or later,” he said.
Anastacia Badillo
The closing of schools and colleges due to the coronavirus turned out well – and not so well – for Anastacia. It means she didn’t get to experience walking across the stage May 9 to pick up her diploma from ACU. A physical graduation ceremony has been rescheduled for Aug. 7 and 8.
Here is a cluster of 2 separate species, C8H21BrSi2 in total at a distorted geometry from the OMol25 dataset. Energies are from the ωB97M-V functional and the def2-TZVPD basis.

As for the HOMO energy (alpha / beta): -0.3101 / -0.2649 Eh. For the gap between HOMO and LUMO (alpha / beta), the calculation gives 8.03 / 5.45 eV. The max |F| comes out at 7.25 eV/A. The relative energy (zero: lowest compared OMol25 entry of this formula, charge and spin) is 99.9 kcal/mol.

Last columns: bonded neighbours and bond lengths (Å).
CARTESIAN COORDINATES (ANGSTROEM)
1 C -4.076 0.493 -2.262  C5 1.587, H12 1.183, H13 1.048, H14 1.046
2 C -1.597 -1.924 0.037  C6 1.561, H15 1.165, H16 1.029, H17 1.012
3 C 3.978 -0.855 2.295  C7 1.527, H18 1.102, H19 1.202, H20 1.145
4 C 0.591 1.054 1.681  C8 1.585, H21 1.179, H22 0.999, H23 1.118
5 C -2.534 0.783 -2.021  C1 1.587, Si9 1.949, H24 0.998, H25 1.012
6 C -1.971 -2.330 -1.423  C2 1.561, Si9 1.932, H26 1.026, H27 1.127
7 C 4.022 0.654 2.064  C3 1.527, Si10 1.939, H28 1.059, H29 1.036
8 C 1.470 1.967 0.730  C4 1.585, Si10 2.011, H30 1.103, H31 1.120
9 Si -1.676 -0.854 -2.636  C5 1.949, C6 1.932, H32 1.621
10 Si 3.222 1.059 0.345  C7 1.939, C8 2.011, Br11 2.391
11 Br 4.542 2.923 -0.363  Si10 2.391
12 H -4.408 -0.632 -2.111  C1 1.183
13 H -4.637 1.186 -1.711  C1 1.048
14 H -4.376 0.697 -3.243  C1 1.046
15 H -2.181 -2.622 0.764  C2 1.165
16 H -0.587 -2.120 0.026  C2 1.029
17 H -1.842 -0.960 0.222  C2 1.012
18 H 4.094 -1.170 3.345  C3 1.102
19 H 2.818 -1.161 2.238  C3 1.202
20 H 4.501 -1.493 1.501  C3 1.145
21 H 0.750 -0.067 1.351  C4 1.179
22 H 0.737 1.154 2.664  C4 0.999
23 H -0.432 1.416 1.411  C4 1.118
24 H -2.395 1.058 -1.072  C5 0.998
25 H -2.365 1.625 -2.557  C5 1.012
26 H -2.977 -2.528 -1.370  C6 1.026
27 H -1.659 -3.305 -1.895  C6 1.127
28 H 5.051 0.831 2.242  C7 1.059
29 H 3.501 1.239 2.741  C7 1.036
30 H 1.532 2.829 1.416  C8 1.103
31 H 1.122 2.280 -0.288  C8 1.120
32 H -2.219 -1.227 -4.117  Si9 1.621
The page goes on
On the plus side, with schools closed, Anastacia is at home with her family and working as a nanny for the same family she has worked for the past three years. Only now, her nanny duties include being the homeschool teacher. That will serve her well when she heads to Spain in January to begin her six-month Fulbright experience as an English teaching assistant. As a nanny/teacher, Anastacia oversees 9-year-old twin boys and their 7-year-old brother.
“That’s been really interesting,” she said with a laugh.
It’s not that she lacks experience. Anastacia majored in communication sciences and disorders, with a minor in Spanish. She wants to get a master’s degree and someday become a bilingual speech pathologist. While at ACU, Anastacia taught English to international students and got classroom management experience working at Rainbow Bible School. In the fall, she will be a substitute teacher in two school districts.
All that experience should make the transition to teaching in Spain fairly smooth. Anastacia was in Abilene April 24 with her roommates as they closed out their rental house when she found out she was a finalist for the Fulbright award.
“It was really nice to find out with them,” she said.
ACU took classes online after spring break due to the coronavirus pandemic, and most students headed home to finish the semester. Anastacia had submitted her Fulbright application Oct. 9, 2019, and had to wait until April to find out she had been accepted. Finally, the email came telling her she was a semi-finalist. And then, she learned she had been accepted.
“When I stopped dying to find out,” she said, “that’s when I found out.”
To help make the summer months pass faster, Anastacia and two friends have purchased tickets to Aruba in July and are hopeful their plans don’t get cancelled. If they do, Anastacia has sightseeing on her list of things to do once she gets to Spain. At the top of the list is a side trip to Morocco.
“That’s one place I definitely want to visit,” she said.